Building A Law Student Resume

Your law student resume is your personal marketing tool. It may be your only opportunity to convince an employer that your education, qualifications, and skills make you an ideal candidate. To pass initial muster, your resume should be easy to read, organized, error-free, and must demonstrate clearly what you can offer the employer. The following article offers some resume tips on how to build a successful law student resume.

Basic Resume Format


You need to include a header with your name, address, phone numbers, and e-mail address. Make sure to highlight your name in bold and with a larger size font so that it stands out. Make sure that the telephone number you include is accurate and will be answered in a professional manner. Change your answering machine if you need to so that it is answered professionally. If you have roommates, you should consider providing your cell phone number. The most important thing is to provide an accurate number where you can be reached directly.


You should list the schools of higher education you attend(ed) in reverse chronological order. For example:

Benjamin N. Cardozo School of Law, New York, NY
Juris Doctor to be conferred May 2010
G.P.A.: 3.50

New York University, New York, NY
Bachelor of Arts, magna cum laude, May 2007
Major: Political Science
G.P.A.: 3.80

The page is interrupted by quantum chemistry results >
# C4H5ClFNS

One molecule with the formula C4H5ClFNS (wB97M-V/def2-TZVPD, the OMol25 dataset).

Its LUMO energy is 0.69 eV. Its total charge is 0. The HOMO energy is -8.705 eV. Its orbital gap is 9.40 eV.

Geometry as XYZ:
```
13
C4H5ClFNS (wB97M-V/def2-TZVPD)
C -1.668 0.170 -0.247
C -1.254 0.387 -1.780
C -0.233 0.320 -0.749
C 2.470 -0.551 1.798
H -1.725 1.469 -2.117
H -1.573 -0.523 -2.378
H 0.262 1.352 -0.462
H 2.946 -1.458 1.237
H 2.902 -0.188 2.709
N 1.336 -0.168 1.319
F -2.302 1.322 0.327
S 0.933 -0.873 -0.225
Cl -2.094 -1.261 0.570
```

The molecule's Mulliken atomic charges, reported in e, are given here: 0.52, -0.59, -0.23, -0.19, 0.24, 0.28, 0.21, 0.16, 0.30, -0.29, -0.27, 0.01, -0.15

# C33H50AsGeN9O5SY

C33H50AsGeN9O5SY as an isolated structure (wB97M-V/def2-TZVPD, the OMol25 dataset).

Its LUMO energy (spin up / spin down) is -9.53 / -11.50 eV. Its total charge is +4. The HOMO energy (spin up / spin down) is -17.028 / -17.643 eV. Its multiplicity is 2. The expectation value of S² is 0.76. Its orbital gap (spin up / spin down) is 7.50 / 6.14 eV.

Geometry as XYZ:
```
101
C33H50AsGeN9O5SY (wB97M-V/def2-TZVPD)
Y -0.596 -0.358 -0.098
C -3.278 -2.647 2.335
As -2.327 -3.491 0.914
C -3.550 -4.073 -0.422
C -1.283 -4.938 1.575
O -1.273 -2.320 0.232
H -3.944 -3.376 2.797
H -3.867 -1.828 1.925
H -2.569 -2.286 3.079
H -4.350 -4.635 0.061
H -3.043 -4.718 -1.137
H -3.966 -3.197 -0.921
H -1.953 -5.676 2.016
H -0.590 -4.575 2.332
H -0.735 -5.392 0.751
N -4.250 2.510 3.552
C -3.409 1.876 4.368
N -3.611 1.881 5.671
N -2.324 1.209 3.932
C -1.932 0.971 2.762
N -1.408 0.709 1.735
H -5.043 3.025 3.904
H -4.057 2.575 2.569
H -4.381 2.370 6.101
H -2.970 1.382 6.268
C 8.032 -3.570 -5.072
C 6.732 -3.005 -4.501
S 7.118 -1.858 -3.207
O 7.673 -2.576 -2.093
O 7.771 -0.717 -3.772
C 5.527 -1.237 -2.597
C 4.990 -2.114 -1.480
N 3.783 -1.501 -0.860
C 2.502 -1.686 -1.224
N 1.678 -0.966 -0.439
C 2.478 -0.309 0.456
C 3.766 -0.607 0.189
N 4.895 0.053 0.808
O 4.593 1.058 1.446
O 5.988 -0.433 0.727
C 2.055 -2.555 -2.342
H 7.792 -4.290 -5.852
H 8.608 -4.075 -4.299
H 8.638 -2.777 -5.504
H 6.113 -3.793 -4.066
H 6.163 -2.459 -5.255
H 4.824 -1.104 -3.421
H 5.804 -0.253 -2.214
H 5.731 -2.212 -0.696
H 4.725 -3.119 -1.800
H 2.109 0.304 1.261
H 2.895 -2.930 -2.919
H 1.400 -1.999 -3.015
H 1.495 -3.407 -1.955
N 3.298 4.597 0.921
C 2.153 4.145 0.040
C 1.654 2.779 0.512
N 0.673 2.140 -0.388
H 3.691 5.485 0.592
H 4.062 3.911 0.933
H 3.009 4.743 1.892
H 2.553 4.095 -0.972
H 1.395 4.927 0.076
H 1.215 2.854 1.509
H 2.526 2.130 0.587
H 1.074 2.061 -1.321
H -0.133 2.752 -0.513
C -0.231 -3.185 -5.563
C -0.040 -1.838 -5.850
C -0.510 -0.868 -4.978
C -1.186 -1.243 -3.809
C -1.367 -2.604 -3.529
C -0.896 -3.569 -4.404
Ge -1.960 0.054 -2.634
C -1.618 1.917 -2.971
C -0.413 2.331 -3.555
C -0.215 3.662 -3.887
C -1.215 4.597 -3.630
C -2.409 4.200 -3.041
C -2.611 2.867 -2.709
C -3.697 -0.427 -1.943
C -4.188 0.056 -0.728
C -5.454 -0.303 -0.285
C -6.247 -1.139 -1.063
C -5.772 -1.621 -2.277

Always include the location of the schools you list, as well as your degree, and the date you earned your degree. For law students currently enrolled, state the degree and the date on which you expect it to be conferred:

“J.D. expected May, 2010"
“Juris Doctor Candidate, May, 2010"
“Juris Doctor to be conferred May 2010”

Be consistent with your degree format. For example, if you use the abbreviation “J.D.,” use “B.A.” or “B.S.” for an undergraduate degree. If you spell out “Juris Doctor,” then spell out “Bachelor of Arts.”

Awards & Other Related Items

Include any awards, recognition, or other distinguishing features in this section such as academic performance, and be sure to include whether you received your degree with special honors. If you received your degree “magna cum laude,” “cum laude,” or “summa cum laude” always italicized the Latin terms on your law student resume. Finally, be sure to include all other honors and awards, extra-curricular activities, areas of concentration, independent study topics, titles of relevant papers or articles written, etc.


You should include your activities under your education section rather than give it a separate listing, unless your practice experience section is very light, in which case you should consider providing it with its own separate section. Activities are important to include in a law student resume because they can highlight certain skills, such as leadership, initiative, responsibility, teamwork, and dedication that a legal employer would be interested in. As you acquire more experience and become more seasoned as a legal practitioner, law school and college activities will become less relevant and may be deleted.


As a law student, academic performance remains very important. However, listing your G.P.A., class standing, or class rank percentile on your law student resume is optional. Providing your G.P.A. and/or class rank on your law student resume is only recommended if it is a strong attribute. Otherwise, do not include it. While your academic marks will be considered as part of your overall application, should you omit that information on your law student resume, you will not necessarily be eliminated simply based on your grades or rank alone.

The safest approach about placing your academic performance on your law student resume is to do so if it highlights strong academic performance. As with all elements of your background, assess each situation, and determine what puts you in the best light with respect to your law student resume. If your overall G.P.A. is weak, but you received excellent marks in a course relevant to the position you are applying to, highlight it on your resume. If you choose to list your G.P.A. on your law student resume, it must be listed exactly as it appears on your law school or undergraduate transcript. For example, a G.P.A. of 3.567 may be listed as 3.56 or 3.5, but may not be rounded up to 3.60.


This is the most important section of your law student resume; where you will present your professional skills as opposed to your academic achievements. Your focus should not be solely on legal skills per se or on legal experience. There are a variety of skills you may have acquired through volunteer or internship positions that would be readily transferable to a legal position. For example, if you were involved in a local club or organization and you were responsible for the newsletter, you took notes or minutes, and organized events; you should highlight those skills, as they will be transferable in terms of writing, organization, and teamwork.

When you are listing your various accomplishments on your law student resume, be sure to quantify and use specific examples to highlight your skills and accomplishments. When describing your experience, make sure to identify particular practice areas of law with which you are familiar. When describing your experience in a practice area, think about specifics. For instance, rather than writing, “researched bankruptcy law issues,” write, “researched issues including liquidation, consumer debts, and creditor remedies.”

Things You Can Do Without

Your law student resume is a tool to secure a position; it is not a biography. Therefore, there are certain items that are not necessary to include and should be best left off your resume. Personal hobbies and activities, unless they are law-related, have no place on a law student resume. They do not add to your overall candidacy, and should be left off the resume. Many candidates include the following at the bottom of their resumes: “references available upon request.” This is stating the obvious and just takes space on your resume; don’t include it.

Most law students look for a fast way to create their law student resumes; often opting for a resume and copying it. However, this often results in a very weak resume. The key to a successful law student resume is to highlight skills that are specific to you and to the position you are applying to. This will be reflected in the format and the content of your resume, which is why a cut and paste job will leave you with a subpar resume. Most people cannot achieve the same level of strength in creating a resume by looking only at the examples of others. Therefore, while there are lots of great law student resume samples out there, merely copying them won’t help you create the kind of law student resume that will get results.

By: Leslie White

## Inserted here: calculated molecules
'''
No. 1
Density functional theory data (the ωB97M-V functional and the def2-TZVPD basis) for C58H40Br21F3O15 as an isolated structure.

Properties
Total charge   0
HOMO level   -9.620 eV
Orbital gap   0.3114 Ha
Maximum force   7.7 eV Å⁻¹

Last column: Mulliken charge in e.
Positions of all 137 atoms, in Å:
C 0.583 -4.524 8.009  -0.37
C -0.750 -5.273 8.184  0.36
O -0.390 -6.678 7.955  -0.30
C 0.847 -6.750 7.558  0.66
O 1.533 -7.705 7.353  -0.51
O 1.333 -5.484 7.372  -0.34
F -1.574 -4.871 7.192  -0.27
H 1.175 -4.292 8.895  0.25
H 0.621 -3.621 7.400  0.25
H -1.313 -4.999 9.076  0.27
C 6.435 0.514 0.677  -0.45
C 5.950 1.829 0.226  0.32
O 5.251 1.464 -0.932  -0.33
C 5.661 0.359 -1.400  0.71
O 5.330 -0.020 -2.469  -0.56
O 6.434 -0.233 -0.545  -0.33
F 6.950 2.609 -0.080  -0.28
H 5.708 0.089 1.369  0.28
H 7.374 0.532 1.230  0.32
H 5.322 2.273 0.999  0.30
C -3.436 1.145 -9.536  -0.34
C -4.665 2.007 -9.542  0.38
O -5.491 1.388 -10.504  -0.30
C -4.845 0.322 -11.026  0.70
O -5.323 -0.417 -11.927  -0.61
O -3.676 0.270 -10.584  -0.30
F -4.407 3.254 -9.854  -0.29
H -3.388 0.565 -8.614  0.24
H -2.479 1.633 -9.723  0.27
H -5.219 1.998 -8.604  0.24
C 2.408 -5.027 -11.590  -0.29
C 3.120 -6.056 -12.200  -0.75
C 3.644 -7.016 -11.302  -0.29
C 3.603 -6.883 -9.945  0.01
C 2.893 -5.794 -9.384  0.45
C 2.287 -4.826 -10.164  -0.84
C 2.828 -5.692 -7.889  0.67
O 2.066 -4.923 -7.256  -0.66
C 3.658 -6.696 -7.069  0.19
C 3.690 -6.619 -5.677  -0.55
C 4.256 -7.648 -4.936  -0.47
C 4.923 -8.665 -5.482  -0.45
C 4.870 -8.824 -6.886  -0.47
C 4.350 -7.807 -7.692  0.23
C 4.449 -7.854 -9.164  0.62
O 5.103 -8.693 -9.758  -0.63
H 2.033 -4.274 -12.268  0.36
H 3.202 -6.133 -13.274  0.40
H 4.124 -7.881 -11.736  0.44
H 1.616 -4.094 -9.737  0.47
H 3.117 -5.828 -5.218  0.45
H 4.394 -7.528 -3.871  0.34
H 5.364 -9.384 -4.808  0.37
H 5.295 -9.706 -7.342  0.42
C -0.985 5.345 -0.933  -0.61
C -1.770 4.957 -2.031  -0.40
C -2.095 3.574 -2.254  -0.78
C -1.632 2.614 -1.330  0.42
C -0.903 3.008 -0.236  0.34
C -0.586 4.372 -0.058  -0.45
C -0.366 1.957 0.698  0.51
O 0.206 2.356 1.709  -0.69
C -0.411 0.502 0.358  0.57
C 0.331 -0.509 1.096  -0.83
C 0.188 -1.872 0.760  -0.35
C -0.607 -2.304 -0.301  -0.68
C -1.219 -1.303 -1.081  -0.35
C -1.130 0.080 -0.777  0.25
C -1.872 1.166 -1.638  0.30
O -2.537 0.792 -2.582  -0.65
H -0.739 6.373 -0.709  0.41
H -2.084 5.754 -2.688  0.39
H -2.723 3.370 -3.109  0.46
H 0.054 4.691 0.751  0.45
H 0.980 -0.298 1.933  0.46
H 0.583 -2.658 1.385  0.39
H -0.660 -3.360 -0.519  0.41
H -1.755 -1.691 -1.935  0.44
C -3.931 7.303 6.953  -0.46
C -2.692 7.950 6.793  -0.61
C -1.510 7.293 7.212  -0.49
C -1.580 6.051 7.878  0.19
C -2.832 5.452 8.110  0.37
C -3.994 6.074 7.657  -0.47
C -2.863 4.207 8.892  0.62
O -3.914 3.594 9.112  -0.68
C -1.650 3.804 9.624  0.36
C -1.738 2.865 10.620  -0.62
C -0.633 2.593 11.430  -0.36
C 0.611 3.102 11.154  -0.66
C 0.681 4.014 10.102  -0.29
C -0.412 4.405 9.402  0.19
C -0.237 5.471 8.340  0.24
O 0.815 5.986 8.015  -0.63
H -4.859 7.726 6.597  0.39
'''
## The calculated molecules stop here

Date: 07/20/21